What makes a museum piece a showpiece? We consider objects that are rare, very old, valuable, significant for the region or unique in their own way to be showpieces. There are many of these in our collection. On this page, we highlight some of them. Which one is your favourite?
(Unrelated to this article: molecular data)
-- begin --
41
Properties=species:S:1:pos:R:3:nbo_charge:R:1 method="wB97M-V/def2-TZVPD" total_charge=+1 homo_lumo_gap_ev=9.11 homo_energy_ev=-12.212 e_above_lowest_kcal_mol=44.10
Mg 0.507 0.607 0.349 1.686
C 0.612 -1.899 4.905 -0.430
N 0.310 -0.726 4.108 -0.409
C 0.278 0.568 4.770 -0.419
C 0.170 -0.779 2.774 0.675
N -0.371 0.170 2.067 -0.964
N 0.587 -1.948 2.168 -0.619
C 0.777 -2.200 0.834 0.668
N 1.235 -3.428 0.544 -0.787
N 0.458 -1.332 -0.070 -0.964
H 0.542 -1.630 5.956 0.243
H 1.622 -2.281 4.732 0.203
H -0.125 -2.683 4.714 0.212
H 0.770 0.484 5.737 0.230
H -0.741 0.922 4.940 0.209
H 0.826 1.306 4.177 0.223
H -0.701 0.933 2.651 0.389
H 0.883 -2.678 2.804 0.417
H 1.516 -4.087 1.252 0.408
H 1.452 -3.660 -0.411 0.422
H 0.656 -1.672 -1.009 0.391
F 5.552 0.297 -0.022 -0.290
C 4.645 1.246 0.200 0.762
F 4.857 1.745 1.407 -0.282
F 4.804 2.187 -0.724 -0.293
S 2.943 0.482 0.068 2.182
O 2.339 0.568 1.378 -1.005
O 3.127 -0.836 -0.429 -0.889
N 2.080 1.370 -0.902 -1.257
S 1.688 2.706 -0.152 2.201
O 0.411 2.536 0.505 -1.009
O 2.743 3.261 0.602 -0.875
C 1.222 3.766 -1.616 0.760
F 0.391 3.006 -2.345 -0.316
F 2.250 4.101 -2.372 -0.280
F 0.562 4.853 -1.248 -0.282
I -1.800 0.865 -1.190 0.125
C -3.416 -0.310 -0.254 -0.675
I -2.776 -2.111 0.653 0.168
H -4.133 -0.577 -1.027 0.240
H -3.873 0.298 0.521 0.234


This record from the OMol25 dataset describes a cluster of 2 separate species, C4H9NO in total. The level of theory is ωB97M-V with the def2-TZVPD basis set.

Highest occupied orbital energy (eV): -9.985
E_LUMO (Eh): 0.032
Structure (SMILES): CC#N.COC
HOMO-LUMO gap (eV): 10.848

Geometry (Å):
C 1.21084 -0.85970 -0.89110
O 0.12187 0.00054 -1.11724
C -0.72174 0.23079 1.80241
N 0.04355 1.00808 2.18791
C 0.52407 1.35250 -1.15597
C -1.69787 -0.75040 1.33472
H 1.97367 -0.75863 -1.67898
H 0.83066 -1.88613 -0.90314
H 1.68267 -0.66234 0.08360
H 1.24325 1.52574 -1.97156
H -0.36914 1.95588 -1.33758
H 0.97671 1.66580 -0.20432
H -2.63182 -0.24922 1.07000
H -1.30637 -1.24396 0.44379
H -1.90381 -1.48440 2.11716

Atoms 1-6, force components in eV/Å:
0.2 -0.2 0.0
0.0 0.0 0.0
0.6 0.7 0.4
-0.7 -0.8 -0.4
0.0 0.3 0.0
-0.1 0.0 0.0

***

This record from the OMol25 dataset describes the molecule C3H3IN2O. The level of theory is ωB97M-V with the def2-TZVPD basis set.

Highest occupied orbital energy (eV): -9.651
E_LUMO (Eh): -0.015
Structure (SMILES): O[C@H]1C=NN=C1I
HOMO-LUMO gap (eV): 9.248

Geometry (Å):
C -0.11620 -0.52158 -0.35524
C -1.08272 0.60569 -0.10557
C 1.15276 0.28602 -0.17416
N -0.48332 1.66317 0.27203
N 0.88915 1.47983 0.20716
O -0.24563 -1.47599 0.66830
I 3.09904 -0.34687 -0.36533
H -0.16808 -0.98668 -1.34673
H -2.15202 0.50096 -0.12053
H -0.89298 -1.20455 1.32007

Atoms 1-6, force components in eV/Å:
0.0 0.3 0.0
0.5 -0.1 -0.1
-0.3 0.8 0.5
-1.8 0.3 -0.1
1.9 -0.4 -0.3
0.2 -1.0 -0.2

***

This record from the OMol25 dataset describes the ion C7H12N3 with charge +1. The level of theory is ωB97M-V with the def2-TZVPD basis set.

Highest occupied orbital energy (eV): -12.197
Charge: +1
-- stop --
The register of feudal lords of the bishop of Utrecht (status quo autumn 1379)
Registrum feodalium bornorum Ecclesie Traiectensis
-- Inserted here: quantum chemistry results --
........
# 1
39
Properties=species:S:1:pos:R:3:forces:R:3 method="wB97M-V/def2-TZVPD" orbital_gap_ha="0.215 / 0.225" spin_multiplicity=8 total_charge=-1
Gd -0.034741 -0.138734 -4.631502 -0.87 0.14 1.37
Cl 0.760531 -2.141369 -2.917569 -0.02 0.14 0.21
C 1.993338 0.905786 -4.712529 0.56 0.26 -0.54
C -1.203378 -1.591955 -5.910574 -0.19 -0.31 -0.90
H 1.737600 1.186608 -5.769616 0.97 0.18 0.76
H 1.847083 1.675127 -3.924047 0.61 -0.40 -0.68
H 2.648839 0.024489 -4.544354 -0.02 1.05 -0.22
H -0.989339 -0.918797 -6.782137 -0.61 -1.10 0.10
H -2.198277 -1.507369 -5.421354 0.59 -0.39 -0.71
H -0.575432 -2.496278 -5.762763 -0.81 0.42 -0.54
Y -0.517620 -0.310007 -1.370652 0.39 -0.99 -0.72
C -2.259325 -1.452321 -0.511998 -0.32 -0.11 0.29
C -1.461291 0.836818 -3.050642 0.32 0.46 -0.46
H -3.163626 -0.954616 -0.914709 0.23 -0.54 0.43
H -2.149445 -2.523713 -0.753351 -0.42 0.35 0.38
H -2.045954 -1.195909 0.549618 -0.53 -0.49 -0.33
H -2.447302 0.667817 -3.556552 0.64 0.89 0.33
H -0.940511 1.845588 -2.993538 -1.08 -0.32 -0.40
C 2.467389 0.168141 2.874699 0.34 0.12 0.25
C 1.004929 -0.247019 2.691261 0.52 -0.37 1.30
C 0.651544 -1.285549 3.713311 -0.26 -0.23 0.84
O 0.919706 -0.847274 1.397739 -0.34 1.27 1.15
B 0.576337 0.295694 0.730738 0.35 0.00 -5.86
O 0.075844 1.425663 1.287093 0.52 -0.78 1.55
C 0.017402 0.965781 2.637125 -0.66 0.57 1.45
C -1.434558 0.590569 2.951807 -0.26 -0.14 0.21
C 0.408629 2.121358 3.514754 0.26 0.26 0.78
H 3.116263 -0.714336 2.804266 -0.28 0.09 -0.09
H 2.622047 0.597840 3.865450 0.06 0.08 0.05
H 2.819703 0.884300 2.119944 -0.29 -0.12 0.14
H 1.370462 -2.109468 3.704057 -0.02 0.13 -0.14
H 0.687917 -0.834044 4.708827 -0.06 -0.08 0.13
H -0.347074 -1.707418 3.568129 0.16 0.12 -0.11
H -1.527619 0.320948 4.008633 -0.05 -0.05 -0.06
H -2.093229 1.454084 2.785309 0.30 -0.12 -0.09
H -1.825887 -0.236495 2.344881 0.28 0.19 0.13
H 1.398155 2.522399 3.277479 -0.17 -0.11 -0.05
H -0.318427 2.936152 3.437502 0.06 -0.17 -0.13
H 0.409328 1.787524 4.555256 0.10 0.12 0.17

=====

# 2
20
Properties=species:S:1:pos:R:3:forces:R:3 method="wB97M-V/def2-TZVPD" orbital_gap_ha=0.444 total_charge=+1 e_above_lowest_ev=0.862
C -0.460945 0.386576 0.853975 1.68 -1.56 -0.79
C 0.714135 -0.518652 0.287255 -1.56 -0.56 1.10
C 2.100546 0.105102 0.271900 0.16 0.49 -0.62
C 2.059513 1.499798 -0.356728 -0.01 0.22 -0.64
N -1.536078 0.374233 -0.217868 0.55 2.48 0.36
H -0.030327 1.355545 1.087402 -0.82 0.40 -0.42
H -0.858147 -0.047588 1.769271 -0.29 0.10 -0.21
H 0.392422 -0.876668 -0.693574 0.38 0.41 -0.40
H 0.577311 -1.441603 0.862709 0.90 0.02 0.14
H 2.791205 -0.526397 -0.293252 -0.22 -0.08 0.05
H 2.564781 0.249970 1.241222 -0.25 -0.41 0.43
H 1.471032 1.555257 -1.285116 -0.10 -0.21 0.19
H 1.651544 2.233235 0.338625 0.10 0.12 -0.05
H 3.042143 1.850809 -0.674322 0.07 -0.07 0.33
H -1.194801 0.822596 -1.073582 0.52 -0.47 -0.05
H -1.889776 -0.558281 -0.468040 -0.60 -0.12 0.32
H -2.237367 1.073127 0.044187 -0.73 -0.84 0.20
H -3.772555 -2.546818 -0.749329 -0.17 0.88 -0.57
........
-- So much for the quantum chemistry results --

The feudal register is the absolute top piece of the Brands Collection. It concerns a remarkable piece of Dutch history. In this register all vassals of the Roman Catholic bishop of Utrecht, Floris van Wevelinchoven (bishop from 1379 to 1393), in the Oversticht (the provinces of Drenthe and Overijssel, and the city of Groningen) are registered.
Vassals received lands, goods and certain rights on loan from the church. They also gained income from this. In return, they swore loyalty to the bishop and performed juridical, administrative and military duties.
Someone pasted data records at this point =
~~~
[1]
This record from OMol25 describes a cluster of 18 separate species, C36H108O18 in total at a distorted geometry. The level of theory is ωB97M-V/def2-TZVPD.

Geometry as XYZ:
```
162
Properties=species:S:1:pos:R:3
C -15.260 -16.495 23.160
C -13.935 -16.289 23.930
O -13.209 -15.257 23.292
H -15.739 -17.436 23.483
H -14.989 -16.628 22.114
H -16.030 -15.724 23.276
H -13.280 -17.158 23.968
H -14.207 -15.967 24.933
H -13.785 -14.489 23.235
C -13.534 -20.399 16.845
C -13.309 -21.928 16.819
O -13.742 -22.473 18.031
H -13.584 -19.980 15.844
H -12.717 -19.879 17.351
H -14.454 -20.221 17.368
H -12.240 -22.097 16.647
H -13.843 -22.389 15.990
H -13.690 -23.440 17.979
C -9.461 -17.900 17.719
C -9.847 -18.558 16.376
O -9.633 -19.953 16.320
H -8.405 -18.066 17.890
H -10.003 -18.348 18.550
H -9.722 -16.852 17.698
H -9.326 -18.015 15.576
H -10.913 -18.405 16.202
H -8.690 -20.155 16.265
C -10.923 -13.168 19.648
C -11.821 -12.818 20.864
O -12.159 -11.436 20.919
H -10.018 -12.540 19.719
H -11.394 -13.037 18.679
H -10.648 -14.224 19.718
H -11.207 -13.050 21.754
H -12.736 -13.422 20.905
H -12.836 -11.318 20.239
C -16.241 -19.830 14.085
C -16.446 -18.447 14.693
O -15.381 -17.597 14.277
H -17.163 -20.419 14.183
H -15.368 -20.381 14.444
H -16.130 -19.729 12.983
H -16.502 -18.563 15.786
H -17.380 -17.951 14.421
H -14.681 -17.438 14.914
C -17.372 -22.067 19.059
C -17.187 -22.037 17.551
O -18.397 -22.434 16.909
H -18.243 -21.471 19.310
H -16.539 -21.564 19.564
H -17.584 -23.054 19.474
H -16.346 -22.690 17.296
H -16.966 -21.030 17.197
H -18.310 -23.053 16.184
C -10.742 -22.851 20.164
C -11.114 -21.387 20.014
O -12.448 -21.206 20.442
H -11.277 -23.472 19.454
H -10.961 -23.183 21.180
H -9.663 -23.037 20.030
H -10.972 -21.091 18.978
H -10.542 -20.746 20.691
H -13.044 -21.506 19.737
C -15.478 -13.195 19.536
C -15.577 -11.868 18.785
O -14.359 -11.158 18.897
H -14.530 -13.676 19.251
H -16.308 -13.860 19.300
H -15.506 -13.032 20.611
H -16.398 -11.275 19.179
H -15.767 -12.183 17.749
H -14.311 -10.383 18.330
C -9.048 -17.289 21.597
C -10.231 -16.873 22.461
O -10.488 -15.491 22.232
H -9.259 -17.071 20.553
H -8.851 -18.362 21.689
H -8.153 -16.765 21.950
H -9.976 -17.056 23.505
H -11.098 -17.510 22.278
H -11.399 -15.275 22.513
C -12.889 -16.475 18.494
C -13.996 -16.619 17.461
O -13.446 -17.105 16.234
H -13.317 -16.084 19.422
H -12.099 -15.788 18.149
H -12.417 -17.434 18.687
H -14.554 -15.674 17.319
H -14.709 -17.383 17.772
H -12.777 -16.490 15.929
C -11.963 -18.276 13.086
C -12.142 -19.468 12.099
O -11.984 -20.693 12.784
H -10.934 -18.275 13.476
H -12.600 -18.317 13.977
H -12.132 -17.315 12.577
H -11.451 -19.415 11.253
H -13.157 -19.371 11.701
H -11.412 -20.479 13.519
C -16.971 -14.935 12.757
C -16.456 -15.649 11.504
O -15.092 -15.984 11.726
H -16.881 -15.519 13.676
H -18.018 -14.664 12.618
H -16.384 -14.021 12.867
H -16.440 -14.932 10.689
H -17.080 -16.517 11.248
H -15.029 -16.574 12.507
C -17.556 -14.191 16.271
C -18.870 -14.829 15.878
O -19.392 -15.556 16.988
~~~
Besides this copy, a second copy exists, which can be found in the Utrecht Archive. However, it is incomplete and was actively kept at the time. When a vassal was succeeded by a new one, the old name was replaced – crossed out or scratched from the parchment – by the new one. Additional notes were also made. What makes the copy from Museum Collectie Brands so unique is that hardly any changes have been made and the names of the original vassals can be found. One therefore speaks in Dutch of a “netexemplaar” meaning “clean copy”.
The cover of the register is made of pigskin, the 164 pages of parchment (animal skin). The writing is in Middle Dutch and even mentions the city of Emmen ~ Empne. The list describes the situation in the autumn of 1379, but was probably made at the end of 1380. Jans Brands managed to get hold of the feudal register at an auction, because unlike others he realised that he was dealing with a unique piece of history.
The golden solidus of King Dagobert I
Minted at Marseille c. 629 – 639 by Eligius

A solidus is originally a Roman gold coin, although the term solidus was still used long after the fall of the Roman Empire. This specific solidus dates from the reign of King Dagobert I. It was probably minted around 629-639 in Marseille (Massilia) by mint master Eligius.
Dagobert I reigned from 623 to 639 and was king of Aquitaine, Austrasia, Burgundy and Neustria (territories in parts of today’s Netherlands, Belgium, Luxembourg, France and Germany). Usually Dagobert I is referred to as king of the Franks, although he is also called king of the Merovingians, because of his descent from the Merovingian dynasty.
One of the most striking feats of Dagobert I is that he managed to unite the Frankish Empire and made Paris the capital of the Empire. Because he negotiated many treaties and thereby ensured prosperity, he is also known as ‘the good king’. His sons, on the other hand, who as kings did not exercise any real power, but rather acted as puppets are also known as ‘Roi fainéant’ (literally ‘do-nothing king’).
Only a few copies of this solidus are known. How did Jans Brands manage to get hold of one? The coin was found while working a field near Ter Apel (province of Groningen). The finder then took the coin to a jeweller where it was exchanged for a brooch. At that time, no one had any idea of its historical value. Until Jans Brands came into the picture. He acquired the coin from the jeweller and sent it to the Royal Coin Cabinet for evaluation.